{
  "formula": "C4H14N2O",
  "method": "wB97M-V/def2-TZVPD",
  "gap_ev": 12.05,
  "charge": 2,
  "de_lowest_kj_mol": 151.58,
  "e_lumo_ha": -0.301,
  "multiplicity": 1,
  "elements": ["C", "C", "C", "C", "N", "N", "H", "H", "H", "H", "H", "H", "H", "H", "H", "H", "H", "H", "H", "H", "O"],
  "xyz": [[0.202, 1.140, 1.002], [-1.122, 0.737, 0.361], [-1.188, 0.662, -1.123], [-0.174, -0.882, -2.787], [-0.242, -0.396, -1.577], [0.588, 0.476, 2.297], [1.031, 0.995, 0.395], [0.121, 2.218, 1.159], [-1.383, -0.257, 0.718], [-1.953, 1.397, 0.701], [-2.205, 0.285, -1.388], [-1.068, 1.544, -1.637], [-0.816, -0.455, -3.525], [0.519, -1.686, -2.990], [0.360, -0.739, -0.771], [-0.320, 0.150, 2.879], [1.275, 0.996, 2.971], [1.138, -0.315, 1.994], [1.395, -2.656, 0.110], [2.377, -1.559, 0.871], [1.467, -1.657, 0.339]],
  "forces_ev_per_a": [[-1.08, 2.38, 0.72], [-0.95, -0.36, 1.65], [-1.26, -2.83, -0.02], [0.25, 0.83, 2.92], [0.48, -0.49, -1.01], [-1.43, 0.02, 2.55], [1.51, -0.28, -1.38], [0.38, -0.12, 0.29], [-0.20, -0.27, 0.16], [0.68, -0.38, -0.12], [0.64, 0.38, 0.19], [0.75, 2.14, -1.20], [-0.34, 0.09, -0.59], [0.09, -0.05, -0.14], [-0.25, -0.19, -1.50], [2.73, 0.77, -1.41], [-1.83, -0.45, -1.50], [-0.37, -1.03, 0.32], [0.38, 2.28, 0.80], [-2.65, -0.74, -2.10], [2.50, -1.70, 1.36]]
}

Next, reproduce the whole of the calculation results above with every line break kept.

{
  "formula": "C4H14N2O",
  "method": "wB97M-V/def2-TZVPD",
  "gap_ev": 12.05,
  "charge": 2,
  "de_lowest_kj_mol": 151.58,
  "e_lumo_ha": -0.301,
  "multiplicity": 1,
  "elements": ["C", "C", "C", "C", "N", "N", "H", "H", "H", "H", "H", "H", "H", "H", "H", "H", "H", "H", "H", "H", "O"],
  "xyz": [[0.202, 1.140, 1.002], [-1.122, 0.737, 0.361], [-1.188, 0.662, -1.123], [-0.174, -0.882, -2.787], [-0.242, -0.396, -1.577], [0.588, 0.476, 2.297], [1.031, 0.995, 0.395], [0.121, 2.218, 1.159], [-1.383, -0.257, 0.718], [-1.953, 1.397, 0.701], [-2.205, 0.285, -1.388], [-1.068, 1.544, -1.637], [-0.816, -0.455, -3.525], [0.519, -1.686, -2.990], [0.360, -0.739, -0.771], [-0.320, 0.150, 2.879], [1.275, 0.996, 2.971], [1.138, -0.315, 1.994], [1.395, -2.656, 0.110], [2.377, -1.559, 0.871], [1.467, -1.657, 0.339]],
  "forces_ev_per_a": [[-1.08, 2.38, 0.72], [-0.95, -0.36, 1.65], [-1.26, -2.83, -0.02], [0.25, 0.83, 2.92], [0.48, -0.49, -1.01], [-1.43, 0.02, 2.55], [1.51, -0.28, -1.38], [0.38, -0.12, 0.29], [-0.20, -0.27, 0.16], [0.68, -0.38, -0.12], [0.64, 0.38, 0.19], [0.75, 2.14, -1.20], [-0.34, 0.09, -0.59], [0.09, -0.05, -0.14], [-0.25, -0.19, -1.50], [2.73, 0.77, -1.41], [-1.83, -0.45, -1.50], [-0.37, -1.03, 0.32], [0.38, 2.28, 0.80], [-2.65, -0.74, -2.10], [2.50, -1.70, 1.36]]
}